## Input
<<<
(1)
Structure and theoretical X-ray powder pattern of K2RuCl5O (a crystal structure in Alexandria, relaxed with GGA-PBE; Cu Ka).

Principal peaks in the range 15° ≤ 2θ ≤ 90°, sorted by position:
d [Å], 2theta, I/Imax
5.720, 15.5, 97
5.584, 15.9, 100
3.473, 25.6, 31
2.795, 32.0, 62
2.762, 32.4, 57
2.483, 36.2, 61

Lattice parameters (Å, degrees): 13.5039 9.9331 6.9968 90.00 90.00 90.00
Sites, in units of the cell vectors:
K (0.1425, 0.0009, 0.1669)
K (0.1425, 0.4991, 0.1669)
K (0.3575, 0.5009, 0.6669)
K (0.3575, 0.9991, 0.6669)
K (0.6425, 0.0009, 0.3331)
K (0.6425, 0.4991, 0.3331)
K (0.8575, 0.5009, 0.8331)
K (0.8575, 0.9991, 0.8331)
Ru (0.0966, 0.7500, 0.6715)
Ru (0.4034, 0.2500, 0.1715)
Ru (0.5966, 0.7500, 0.8285)
Ru (0.9034, 0.2500, 0.3285)
Cl (0.0003, 0.2500, 0.0425)
Cl (0.9997, 0.7500, 0.9575)
Cl (0.1067, 0.5116, 0.6863)
Cl (0.1067, 0.9884, 0.6863)
Cl (0.2160, 0.7500, 0.4215)
Cl (0.2421, 0.7500, 0.8904)
Cl (0.2579, 0.2500, 0.3904)
Cl (0.2840, 0.2500, 0.9215)
Cl (0.3933, 0.0116, 0.1863)
Cl (0.3933, 0.4884, 0.1863)
Cl (0.5003, 0.2500, 0.4575)
Cl (0.4997, 0.7500, 0.5425)
Cl (0.6067, 0.5116, 0.8137)
Cl (0.6067, 0.9884, 0.8137)
Cl (0.7160, 0.7500, 0.0785)
Cl (0.7421, 0.7500, 0.6096)
Cl (0.7579, 0.2500, 0.1096)
Cl (0.7840, 0.2500, 0.5785)
Cl (0.8933, 0.0116, 0.3137)
Cl (0.8933, 0.4884, 0.3137)
O (0.0042, 0.2500, 0.4787)
O (0.4958, 0.7500, 0.9787)
O (0.5042, 0.2500, 0.0213)
O (0.9958, 0.7500, 0.5213)

---

(2)
Structure and theoretical X-ray powder pattern of K4Ru2Cl10O (a crystal structure in Alexandria, relaxed with GGA-PBE; Cu Ka).

Principal peaks in the range 15° ≤ 2θ ≤ 90°, sorted by position:
d [Å], 2theta, I/Imax
3.319, 26.9, 51
3.210, 27.8, 36
2.792, 32.1, 54
2.583, 34.7, 100
1.826, 49.9, 31
1.659, 55.4, 36

Lattice parameters (Å, degrees): 10.0845 10.0845 10.0845 137.53 137.53 61.62
Sites, in units of the cell vectors:
K (0.0000, 0.5000, 0.5000)
K (0.2500, 0.7500, 0.5000)
K (0.5000, 0.0000, 0.5000)
K (0.7500, 0.2500, 0.5000)
Ru (0.1043, 0.1043, 0.0000)
Ru (0.8957, 0.8957, 0.0000)
Cl (0.1193, 0.1193, 0.4639)
Cl (0.1193, 0.6554, 0.0000)
Cl (0.2392, 0.2392, 0.0000)
Cl (0.3446, 0.3446, 0.4639)
Cl (0.3446, 0.8807, 0.0000)
Cl (0.6554, 0.1193, 0.0000)
Cl (0.6554, 0.6554, 0.5361)
Cl (0.7608, 0.7608, 0.0000)
Cl (0.8807, 0.3446, 0.0000)
Cl (0.8807, 0.8807, 0.5361)
O (0.0000, 0.0000, 0.0000)


1.
# Ce11Sn9Rh4
Computed X-ray powder pattern, Cu Ka. Input: a PBE-relaxed structure.
Lines closer than 0.1° are merged.

Peak list (10 most intense, 2θ from 10° to 90°, sorted by position)
Position (°2θ)	Rel. int.
30.5	25.3
31.7	27.3
33.5	100.0
33.8	100.0
36.1	26.5
36.3	68.0
39.3	34.6
44.1	42.3
58.4	34.6
60.6	19.9

Structure:
Lattice parameters (Å, degrees): 12.5999 12.5999 4.1054 90.00 90.00 111.92
Atoms (fractional coordinates):
Ce  0.0000  0.0000  0.0000
Ce  0.0699  0.4169  0.0000
Ce  0.1584  0.8416  0.0000
Ce  0.3097  0.3097  0.0000
Ce  0.3720  0.6280  0.0000
Ce  0.4169  0.0699  0.0000
Ce  0.5831  0.9301  0.0000
Ce  0.6280  0.3720  0.0000
Ce  0.6903  0.6903  0.0000
Ce  0.8416  0.1584  0.0000
Ce  0.9301  0.5831  0.0000
Sn  0.0736  0.2200  0.5000
Sn  0.1562  0.6306  0.5000
Sn  0.2200  0.0736  0.5000
Sn  0.3694  0.8438  0.5000
Sn  0.5000  0.5000  0.5000
Sn  0.6306  0.1562  0.5000
Sn  0.7800  0.9264  0.5000
Sn  0.8438  0.3694  0.5000
Sn  0.9264  0.7800  0.5000
Rh  0.2438  0.4482  0.5000
Rh  0.4482  0.2438  0.5000
Rh  0.5518  0.7562  0.5000
Rh  0.7562  0.5518  0.5000

=====

2.
# ZrTi3Ni
Computed X-ray powder pattern, Cu Ka. Input: a PBE-relaxed structure.
Lines closer than 0.1° are merged.

Peak list (10 most intense, 2θ from 10° to 90°, sorted by position)
Position (°2θ)	Rel. int.
26.9	27.2
27.7	96.1
32.9	70.8
33.5	67.2
34.5	30.7
39.4	100.0
39.7	58.7
43.6	26.1
55.5	24.2
57.1	51.0

Structure:
Lattice parameters (Å, degrees): 6.4504 6.4504 6.4504 118.28 90.47 121.20
Atoms (fractional coordinates):
Zr  0.3160  0.0660  0.2500
Zr  0.6840  0.9340  0.7500
Ti  0.1783  0.4283  0.7500
Ti  0.2210  0.0000  0.7210
Ti  0.2210  0.5000  0.2210
>>>

## Job
Now repeat only the last part of the listing above, starting with the line that has "(2)".

## Reply
(2)
Structure and theoretical X-ray powder pattern of K4Ru2Cl10O (a crystal structure in Alexandria, relaxed with GGA-PBE; Cu Ka).

Principal peaks in the range 15° ≤ 2θ ≤ 90°, sorted by position:
d [Å], 2theta, I/Imax
3.319, 26.9, 51
3.210, 27.8, 36
2.792, 32.1, 54
2.583, 34.7, 100
1.826, 49.9, 31
1.659, 55.4, 36

Lattice parameters (Å, degrees): 10.0845 10.0845 10.0845 137.53 137.53 61.62
Sites, in units of the cell vectors:
K (0.0000, 0.5000, 0.5000)
K (0.2500, 0.7500, 0.5000)
K (0.5000, 0.0000, 0.5000)
K (0.7500, 0.2500, 0.5000)
Ru (0.1043, 0.1043, 0.0000)
Ru (0.8957, 0.8957, 0.0000)
Cl (0.1193, 0.1193, 0.4639)
Cl (0.1193, 0.6554, 0.0000)
Cl (0.2392, 0.2392, 0.0000)
Cl (0.3446, 0.3446, 0.4639)
Cl (0.3446, 0.8807, 0.0000)
Cl (0.6554, 0.1193, 0.0000)
Cl (0.6554, 0.6554, 0.5361)
Cl (0.7608, 0.7608, 0.0000)
Cl (0.8807, 0.3446, 0.0000)
Cl (0.8807, 0.8807, 0.5361)
O (0.0000, 0.0000, 0.0000)


1.
# Ce11Sn9Rh4
Computed X-ray powder pattern, Cu Ka. Input: a PBE-relaxed structure.
Lines closer than 0.1° are merged.

Peak list (10 most intense, 2θ from 10° to 90°, sorted by position)
Position (°2θ)	Rel. int.
30.5	25.3
31.7	27.3
33.5	100.0
33.8	100.0
36.1	26.5
36.3	68.0
39.3	34.6
44.1	42.3
58.4	34.6
60.6	19.9

Structure:
Lattice parameters (Å, degrees): 12.5999 12.5999 4.1054 90.00 90.00 111.92
Atoms (fractional coordinates):
Ce  0.0000  0.0000  0.0000
Ce  0.0699  0.4169  0.0000
Ce  0.1584  0.8416  0.0000
Ce  0.3097  0.3097  0.0000
Ce  0.3720  0.6280  0.0000
Ce  0.4169  0.0699  0.0000
Ce  0.5831  0.9301  0.0000
Ce  0.6280  0.3720  0.0000
Ce  0.6903  0.6903  0.0000
Ce  0.8416  0.1584  0.0000
Ce  0.9301  0.5831  0.0000
Sn  0.0736  0.2200  0.5000
Sn  0.1562  0.6306  0.5000
Sn  0.2200  0.0736  0.5000
Sn  0.3694  0.8438  0.5000
Sn  0.5000  0.5000  0.5000
Sn  0.6306  0.1562  0.5000
Sn  0.7800  0.9264  0.5000
Sn  0.8438  0.3694  0.5000
Sn  0.9264  0.7800  0.5000
Rh  0.2438  0.4482  0.5000
Rh  0.4482  0.2438  0.5000
Rh  0.5518  0.7562  0.5000
Rh  0.7562  0.5518  0.5000

=====

2.
# ZrTi3Ni
Computed X-ray powder pattern, Cu Ka. Input: a PBE-relaxed structure.
Lines closer than 0.1° are merged.

Peak list (10 most intense, 2θ from 10° to 90°, sorted by position)
Position (°2θ)	Rel. int.
26.9	27.2
27.7	96.1
32.9	70.8
33.5	67.2
34.5	30.7
39.4	100.0
39.7	58.7
43.6	26.1
55.5	24.2
57.1	51.0

Structure:
Lattice parameters (Å, degrees): 6.4504 6.4504 6.4504 118.28 90.47 121.20
Atoms (fractional coordinates):
Zr  0.3160  0.0660  0.2500
Zr  0.6840  0.9340  0.7500
Ti  0.1783  0.4283  0.7500
Ti  0.2210  0.0000  0.7210
Ti  0.2210  0.5000  0.2210